Tuesday, March 15, 2005

Why Can't Kids Learn?

The NYTimes editorial section had an interesting post and view point shared about the trouble with high schools. The tendency to want to shift blame away from the learner is endemic to the whole of our troubles. That is, college and university faculty members tend to blame the high schools. This person wants to blame the junior high schools. No doubt, the junior high school faculty members will want to blame the middle and elementary school systems.

In the end, the parents are responsible for instilling a strong desire to learn and a learning ethic in their children. And, fundamentally, it is the individual that is responsible for their own learning. With all the support you can give kids, the best school systems in the world will have some students fail.

What we need is a shift from rote memorization of "facts" & test preparation toward a curriculum that centers on expeditianary exploration of topics until the students tire of the subject matter or move on to another more powerfully interesting topic. Having taught math to ninth graders before, I know how boring fractions can be if the relavence is not transparent. It is very challenging to teach fractions to anyone, let alone those who have failed mathematics courses in the past. Another shift that might present a fix is twisting the promotion and tenure process to shuffle new teachers away from the difficult courses to teach and put them into honors or high level classrooms. This would leave the general or remedial courses to the most experienced and skilled teachers and disciplinarians. The reason why I don't teach at the High School level any more is because I was given five courses (four preparations) in my first year of teaching. These four preps were all but one general or remedial courses. So, I spent the better part of my day disciplining some one else's children rather than teaching. Students were so disruptive and disrespectful that it was very difficult to maintain a line of thinking on the subject at hand without getting side tracked. Secondly, I know for a fact, that instead of doing the homework, these students were out on weekends, doing drugs, or simply watching television all evening. Parents were completely disengaged from the child's educational process, and in more than one case, I caught parents out right lying to make excuses for their children's poor performance.

I can go on, but will save more on this for either comments or another post should folks be interested.

• Here the piece breaks off for calculated crystals:
Below is an optimized crystal structure of Mn2Tl3Cl3F4, with properties calculated at the PBE+U level.

Computed properties:
VASP energy = -4.673 eV per atom

Geometry as CIF:
```
data_Mn2Tl3Cl3F4
_chemical_formula_sum 'Mn4 Tl6 Cl6 F8'
_cell_length_a 4.197
_cell_length_b 5.163
_cell_length_c 24.757
_cell_angle_alpha 90.00
_cell_angle_beta 90.00
_cell_angle_gamma 90.00
_space_group_name_H-M_alt 'I m m m'
_space_group_IT_number 71
_space_group_name_Hall '-I 2 2'
loop_
_atom_site_label
_atom_site_fract_x
_atom_site_fract_y
_atom_site_fract_z
Mn1 0.000 0.000 0.110
Tl1 0.000 0.000 0.302
Tl2 0.000 0.000 0.500
Cl1 0.000 0.000 0.000
Cl2 0.000 0.500 0.103
F1 0.000 0.000 0.195
F2 0.000 0.500 0.390
```

* * * * *

Here is a relaxed Tl2TeCl crystal from Alexandria. Energies are from PBEsol.

Output
electronic total energy: -12.5 eV per cell
distance to the lowest polymorph of the same formula: 62 meV/atom
formation energy from raw total energies: -0.423 eV/atom
ρ: 7.6 g cm⁻³

Cell lengths 4.498, 4.498, 7.549 Å; angles 72.67, 72.67, 60.00 degrees
Element x y z (fractional)
Tl1 0.250 0.250 0.251
Tl2 0.750 0.750 0.749
Te1 0.000 0.000 0.000
Cl1 0.500 0.500 0.500

---

Here is a relaxed Tl2TeCl6 crystal from Alexandria. Energies are from PBEsol.

Output
electronic total energy: -27.8 eV per cell
formation energy from raw total energies: -0.777 eV/atom
ρ: 5.0 g cm⁻³

Cell lengths 7.040, 7.040, 7.040 Å; angles 60.00, 60.00, 60.00 degrees
Element x y z (fractional)
Cl1 0.746 0.746 0.254
Cl2 0.254 0.254 0.746
Cl3 0.254 0.746 0.254
Cl4 0.746 0.254 0.746
Cl5 0.746 0.254 0.254
Cl6 0.254 0.746 0.746
Te1 0.000 0.000 0.000
Tl1 0.750 0.750 0.750
Tl2 0.250 0.250 0.250

---

Here is a relaxed Tl2TeCl crystal from Alexandria. Energies are from PBEsol.

Output
electronic total energy: -11.9 eV per cell
distance to the lowest polymorph of the same formula: 215 meV/atom
formation energy from raw total energies: -0.269 eV/atom
ρ: 8.8 g cm⁻³

Cell lengths 5.354, 5.354, 5.354 Å; angles 60.00, 60.00, 60.00 degrees
Element x y z (fractional)
Tl1 0.000 0.000 0.000
Tl2 0.750 0.750 0.750
Te1 0.250 0.250 0.250
Cl1 0.500 0.500 0.500

---

Here is a relaxed Tl2TeCl crystal from Alexandria. Energies are from PBEsol.

Output
electronic total energy: -12.6 eV per cell
distance to the lowest polymorph of the same formula: 30 meV/atom
formation energy from raw total energies: -0.455 eV/atom
ρ: 8.7 g cm⁻³

Cell lengths 5.369, 5.369, 5.369 Å; angles 60.00, 60.00, 60.00 degrees
Element x y z (fractional)
Tl1 0.250 0.250 0.250
Tl2 0.750 0.750 0.750
Te1 0.500 0.500 0.500
Cl1 0.000 0.000 0.000

---

Here is a relaxed Tl2TeCl crystal from Alexandria. Energies are from PBEsol.

Output
electronic total energy: -12.4 eV per cell
distance to the lowest polymorph of the same formula: 85 meV/atom
formation energy from raw total energies: -0.400 eV/atom
ρ: 8.1 g cm⁻³

Cell lengths 4.328, 4.328, 6.992 Å; angles 108.03, 108.03, 90.00 degrees
Element x y z (fractional)
Tl1 0.000 0.000 0.000
• So much for the calculated crystals:

Here's the slice from the article mentioned above:

To understand why, you have to consider what the high schools are dealing with. When American students arrive as freshmen, nearly 70 percent are reading below grade level. Equally large numbers are ill prepared in mathematics, science and history.

It is hardly fair to blame high schools for the poor skills of their entering students. If students start high school without the basic skills needed to read, write and solve mathematics problems, then the governors should focus on strengthening the standards of their states' junior high schools.

And that first year of high school is often the most important one - many students who eventually drop out do so after becoming discouraged when they can't earn the credits to advance beyond ninth grade. Ninth grade is often referred to by educators as a "parking lot." This is because social promotion - the endemic practice of moving students up to the next grade whether they have earned it or not - comes to a crashing halt in high school.

It makes no sense to blame the high schools for their ill-prepared incoming students. To really get at the problem, we have to make changes across our educational system. The most important is to stress the importance of academic achievement. Sorry to say, we have a long history of reforms by pedagogues to de-emphasize academic achievement and to make school more "relevant," "fun" and like "real life." These efforts have produced whole-language instruction, where phonics, grammar and spelling are abandoned in favor of "creativity," and fuzzy math, where students are supposed to "construct" their own solutions to math problems instead of finding the right answers.

1 comment:

Anonymous said...

Louder, and funnier

When was the last time you multiplied or divided two fractions. Or solved simultaneous equations: two trains, one leaving CA for NY at 80mph, and another NY for CA at 60mph meet when? where? What's a train?

Calculations once done by hand are now done in MathCad or a spreadsheet. Write the formula and plug in the values. The hard part is as it ever was, judging whether on not the answer is correct.

Rather than teach fractions, teach kids how to use a spreadsheet. Then teach them how to plug fractions into a spreadsheet. Once matches were readily available, how to make fire with flint and steel was something only the truly curious found interesting.

Boredom is feedback. Blaming your audience doesn't serve them, or you. Try something different.